Activity =
Count the lines underneath that contain the word "Ge" and give the number alone.

Data =
********
The following is a GGA-PBE calculation of crystalline Li2Cd2Ag3 at its relaxed geometry, from Alexandria.

Lattice parameters (Å, degrees): 4.097 5.117 6.643 82.69 89.74 66.56
Fractional coordinates of all 7 atoms:
Li 0.210 0.079 0.137
Li 0.790 0.921 0.863
Cd 0.359 0.780 0.582
Cd 0.641 0.220 0.418
Ag 0.079 0.340 0.728
Ag 0.500 0.500 0.000
Ag 0.921 0.660 0.272

Energy of formation: -167 meV/atom
Excess energy over the best structure of this formula in the dataset: 15 meV/atom


The following is a GGA-PBE calculation of crystalline TiNiGe3 at its relaxed geometry, from Alexandria.

Lattice parameters (Å, degrees): 4.551 4.551 4.551 90.00 90.00 90.00
Fractional coordinates of all 5 atoms:
Ti 0.000 0.000 0.000
Ni 0.500 0.500 0.500
Ge 0.000 0.500 0.500
Ge 0.500 0.000 0.500
Ge 0.500 0.500 0.000

Energy of formation: 413 meV/atom


The following is a GGA-PBE calculation of crystalline CaMg4Au at its relaxed geometry, from Alexandria.

Lattice parameters (Å, degrees): 8.814 4.368 7.604 90.00 90.00 90.00
Fractional coordinates of all 12 atoms:
Ca 0.250 0.000 0.101
Ca 0.750 0.000 0.899
Mg 0.000 0.000 0.500
Mg 0.061 0.500 0.802
Mg 0.250 0.500 0.449
Mg 0.439 0.500 0.802
Mg 0.500 0.000 0.500
Mg 0.561 0.500 0.198
Mg 0.750 0.500 0.551
Mg 0.939 0.500 0.198
Au 0.250 0.000 0.703
Au 0.750 0.000 0.297

Energy of formation: -327 meV/atom
Excess energy over the best structure of this formula in the dataset: 0 meV/atom


The following is a GGA-PBE calculation of crystalline Nd2Dy2ZnGa4 at its relaxed geometry, from Alexandria.

Lattice parameters (Å, degrees): 6.638 6.638 6.638 116.21 116.21 96.70
Fractional coordinates of all 9 atoms:
Nd 0.250 0.750 0.500
Nd 0.750 0.250 0.500
Dy 0.186 0.186 0.000
Dy 0.814 0.814 0.000
Zn 0.500 0.500 0.000
Ga 0.255 0.255 0.509
Ga 0.255 0.745 0.000
Ga 0.745 0.255 0.000
Ga 0.745 0.745 0.491

Energy of formation: -331 meV/atom


The following is a GGA-PBE calculation of crystalline EuHS at its relaxed geometry, from Alexandria.

Lattice parameters (Å, degrees): 8.325 4.068 5.938 90.00 90.00 90.00
Fractional coordinates of all 12 atoms:
Eu 0.119 0.250 0.215
Eu 0.381 0.750 0.715
Eu 0.619 0.250 0.285
Eu 0.881 0.750 0.785
H 0.107 0.750 0.018
H 0.393 0.250 0.518
H 0.607 0.750 0.482
H 0.893 0.250 0.982
S 0.130 0.250 0.711
S 0.370 0.750 0.211
S 0.630 0.250 0.789
S 0.870 0.750 0.289

Raw total energy: -6.978 eV per atom


The following is a GGA-PBE calculation of crystalline VPPdCl2 at its relaxed geometry, from Alexandria.

Lattice parameters (Å, degrees): 4.523 4.523 4.820 90.00 90.00 90.00
Fractional coordinates of all 5 atoms:
V 0.000 0.000 0.000
P 0.000 0.000 0.500
Pd 0.500 0.500 0.500
Cl 0.000 0.500 0.000
Cl 0.500 0.000 0.000

Formation energy without anion corrections: 0.124 eV/atom
Excess energy over the best structure of this formula in the dataset: 0 meV/atom


The following is a GGA-PBE calculation of crystalline AlFe2Co at its relaxed geometry, from Alexandria.

Lattice parameters (Å, degrees): 3.581 3.581 7.420 90.00 90.00 90.00
Fractional coordinates of all 8 atoms:
Al 0.000 0.000 0.000
Al 0.500 0.500 0.500
Fe 0.000 0.500 0.250
Fe 0.000 0.500 0.750
Fe 0.500 0.000 0.250
Fe 0.500 0.000 0.750
Co 0.000 0.000 0.500
Co 0.500 0.500 0.000

Energy of formation: -188 meV/atom


The following is a GGA-PBE calculation of crystalline Y2Nb2Cu at its relaxed geometry, from Alexandria.

Lattice parameters (Å, degrees): 3.735 3.735 17.374 90.00 90.00 90.00
Fractional coordinates of all 10 atoms:
Y 0.000 0.000 0.097
Y 0.000 0.000 0.903
Y 0.500 0.500 0.403
Y 0.500 0.500 0.597
Nb 0.000 0.500 0.250
Nb 0.000 0.500 0.750
Nb 0.500 0.000 0.250
Nb 0.500 0.000 0.750
Cu 0.000 0.000 0.500
Cu 0.500 0.500 0.000

Energy of formation: 377 meV/atom
Excess energy over the best structure of this formula in the dataset: 39 meV/atom


| no. | theoretical density (Mg/m³) |
| --- | --- |
| 1 | 7.4 |
| 2 | 5.7 |
| 3 | 3.8 |
| 4 | 7.3 |
| 5 | 6.1 |
| 6 | 4.4 |
| 7 | 6.9 |
| 8 | 5.9 |
********

Outcome =
3